Give back all of the lines further down without altering anything, please.

~~~
No. 1
DFT (PBE-GGA) results for Sr5Tl3 after structural relaxation.

Output
DFT total energy = -36.214 eV per cell
E_form = -321 meV per atom
space-group type = No. 140

abc: 10.147 10.147 10.147
angles: 127.40 127.40 77.60
Positions (direct):
Sr (0.000, 0.000, 0.000)
Sr (0.025, 0.525, 0.841)
Sr (0.184, 0.025, 0.500)
Sr (0.316, 0.816, 0.841)
Sr (0.475, 0.316, 0.500)
Sr (0.500, 0.500, 0.000)
Sr (0.525, 0.684, 0.500)
Sr (0.684, 0.184, 0.159)
Sr (0.816, 0.975, 0.500)
Sr (0.975, 0.475, 0.159)
Tl (0.123, 0.377, 0.500)
Tl (0.250, 0.250, 0.000)
Tl (0.377, 0.877, 0.253)
Tl (0.623, 0.123, 0.747)
Tl (0.750, 0.750, 0.000)
Tl (0.877, 0.623, 0.500)

No. 2
DFT (PBE-GGA) results for BiPd6Pb after structural relaxation.

Output
DFT total energy = -40.843 eV per cell
E_form = -270 meV per atom
space-group type = No. 123

abc: 4.131 4.131 8.259
angles: 90.00 90.00 90.00
Positions (direct):
Bi (0.000, 0.000, 0.000)
Pd (0.000, 0.500, 0.250)
Pd (0.000, 0.500, 0.750)
Pd (0.500, 0.000, 0.250)
Pd (0.500, 0.000, 0.750)
Pd (0.500, 0.500, 0.000)
Pd (0.500, 0.500, 0.500)
Pb (0.000, 0.000, 0.500)

No. 3
DFT (PBE-GGA) results for VN after structural relaxation.

Output
DFT total energy = -38.755 eV per cell
E_form = -1159 meV per atom
space-group type = No. 11

abc: 2.939 2.885 4.137
angles: 90.00 91.49 90.00
Positions (direct):
V (0.206, 0.250, 0.228)
V (0.794, 0.750, 0.772)
N (0.278, 0.250, 0.736)
N (0.722, 0.750, 0.264)

No. 4
DFT (PBE-GGA) results for TlBC2N2 after structural relaxation.

Output
DFT total energy = -160.696 eV per cell
E_form = 546 meV per atom
space-group type = No. 88

abc: 9.202 9.202 9.202
angles: 121.44 121.44 87.52
Positions (direct):
Tl (0.000, 0.000, 0.000)
Tl (0.500, 0.000, 0.000)
Tl (0.500, 0.000, 0.500)
Tl (0.500, 0.500, 0.500)
B (0.000, 0.000, 0.500)
B (0.000, 0.500, 0.000)
B (0.000, 0.500, 0.500)
B (0.500, 0.500, 0.000)
C (0.036, 0.332, 0.442)
C (0.094, 0.536, 0.204)
C (0.168, 0.110, 0.704)
C (0.390, 0.594, 0.058)
C (0.610, 0.406, 0.942)
C (0.832, 0.890, 0.296)
C (0.906, 0.464, 0.796)
C (0.964, 0.668, 0.558)
N (0.063, 0.190, 0.382)
N (0.180, 0.563, 0.373)
N (0.307, 0.680, 0.118)
N (0.310, 0.193, 0.873)
N (0.690, 0.807, 0.127)
N (0.693, 0.320, 0.882)
N (0.820, 0.437, 0.627)
N (0.937, 0.810, 0.618)

=====

# GaCuSeS, relaxed, DFT PBE
data_GaCuSeS
_cell_length_a 5.471
_cell_length_b 5.478
_cell_length_c 10.868
_cell_angle_alpha 90.00
_cell_angle_beta 90.00
_cell_angle_gamma 90.00
_space_group_name_H-M_alt 'I 21 21 21'
_space_group_IT_number 24
loop_
_space_group_symop_operation_xyz
'x,y,z'
'-x,-y+1/2,z'
'x,-y,-z+1/2'
'-x,y+1/2,-z+1/2'
'x+1/2,y+1/2,z+1/2'
'-x+1/2,-y,z+1/2'
'x+1/2,-y+1/2,-z'
'-x+1/2,y,-z'
loop_
_atom_site_label
_atom_site_type_symbol
_atom_site_fract_x
_atom_site_fract_y
_atom_site_fract_z
Ga1 Ga 0.000 0.250 0.120
Cu1 Cu 0.000 0.250 0.614
Se1 Se 0.242 0.500 0.750
S1 S 0.250 0.001 0.000
# Size of the total moment = 0.00 Bohr magnetons per cell
# E_form = -0.6410 eV/atom

=====

# Ti2Be17

A relaxed Ti2Be17 crystal (PBE-GGA, Materials Project).

a = 7.3364 Å, b = 7.3364 Å, c = 10.7330 Å
α = 90.00°, β = 90.00°, γ = 120.00°
Space group R-3m (No. 166, hexagonal axes)
Symmetry-distinct sites (fractional):
Ti 0.0000 0.0000 0.1638 x6
Be 0.0000 0.0000 0.4010 x6
Be 0.0000 0.2952 0.5000 x18
Be 0.0000 0.5000 0.0000 x9
Be 0.0044 0.5022 0.6558 x18

Results
- uncorrected energy (eV per cell) = -249.4
- calculated formation energy (eV/atom) = -0.199

=====

A relaxed Mo2PbSe2O11 crystal, computed with PBE with a Hubbard U.

Cell: 8.099 8.359 9.005 Å, 82.93 65.13 66.79°
Space group P-1 (No. 2)
Unique sites:
Mo: 0.221 0.468 0.045 x2
Mo: 0.228 0.876 0.805 x2
Pb: 0.072 0.725 0.473 x2
Se: 0.249 0.054 0.144 x2
Se: 0.261 0.274 0.687 x2
~~~

No. 1
DFT (PBE-GGA) results for Sr5Tl3 after structural relaxation.

Output
DFT total energy = -36.214 eV per cell
E_form = -321 meV per atom
space-group type = No. 140

abc: 10.147 10.147 10.147
angles: 127.40 127.40 77.60
Positions (direct):
Sr (0.000, 0.000, 0.000)
Sr (0.025, 0.525, 0.841)
Sr (0.184, 0.025, 0.500)
Sr (0.316, 0.816, 0.841)
Sr (0.475, 0.316, 0.500)
Sr (0.500, 0.500, 0.000)
Sr (0.525, 0.684, 0.500)
Sr (0.684, 0.184, 0.159)
Sr (0.816, 0.975, 0.500)
Sr (0.975, 0.475, 0.159)
Tl (0.123, 0.377, 0.500)
Tl (0.250, 0.250, 0.000)
Tl (0.377, 0.877, 0.253)
Tl (0.623, 0.123, 0.747)
Tl (0.750, 0.750, 0.000)
Tl (0.877, 0.623, 0.500)

No. 2
DFT (PBE-GGA) results for BiPd6Pb after structural relaxation.

Output
DFT total energy = -40.843 eV per cell
E_form = -270 meV per atom
space-group type = No. 123

abc: 4.131 4.131 8.259
angles: 90.00 90.00 90.00
Positions (direct):
Bi (0.000, 0.000, 0.000)
Pd (0.000, 0.500, 0.250)
Pd (0.000, 0.500, 0.750)
Pd (0.500, 0.000, 0.250)
Pd (0.500, 0.000, 0.750)
Pd (0.500, 0.500, 0.000)
Pd (0.500, 0.500, 0.500)
Pb (0.000, 0.000, 0.500)

No. 3
DFT (PBE-GGA) results for VN after structural relaxation.

Output
DFT total energy = -38.755 eV per cell
E_form = -1159 meV per atom
space-group type = No. 11

abc: 2.939 2.885 4.137
angles: 90.00 91.49 90.00
Positions (direct):
V (0.206, 0.250, 0.228)
V (0.794, 0.750, 0.772)
N (0.278, 0.250, 0.736)
N (0.722, 0.750, 0.264)

No. 4
DFT (PBE-GGA) results for TlBC2N2 after structural relaxation.

Output
DFT total energy = -160.696 eV per cell
E_form = 546 meV per atom
space-group type = No. 88

abc: 9.202 9.202 9.202
angles: 121.44 121.44 87.52
Positions (direct):
Tl (0.000, 0.000, 0.000)
Tl (0.500, 0.000, 0.000)
Tl (0.500, 0.000, 0.500)
Tl (0.500, 0.500, 0.500)
B (0.000, 0.000, 0.500)
B (0.000, 0.500, 0.000)
B (0.000, 0.500, 0.500)
B (0.500, 0.500, 0.000)
C (0.036, 0.332, 0.442)
C (0.094, 0.536, 0.204)
C (0.168, 0.110, 0.704)
C (0.390, 0.594, 0.058)
C (0.610, 0.406, 0.942)
C (0.832, 0.890, 0.296)
C (0.906, 0.464, 0.796)
C (0.964, 0.668, 0.558)
N (0.063, 0.190, 0.382)
N (0.180, 0.563, 0.373)
N (0.307, 0.680, 0.118)
N (0.310, 0.193, 0.873)
N (0.690, 0.807, 0.127)
N (0.693, 0.320, 0.882)
N (0.820, 0.437, 0.627)
N (0.937, 0.810, 0.618)

=====

# GaCuSeS, relaxed, DFT PBE
data_GaCuSeS
_cell_length_a 5.471
_cell_length_b 5.478
_cell_length_c 10.868
_cell_angle_alpha 90.00
_cell_angle_beta 90.00
_cell_angle_gamma 90.00
_space_group_name_H-M_alt 'I 21 21 21'
_space_group_IT_number 24
loop_
_space_group_symop_operation_xyz
'x,y,z'
'-x,-y+1/2,z'
'x,-y,-z+1/2'
'-x,y+1/2,-z+1/2'
'x+1/2,y+1/2,z+1/2'
'-x+1/2,-y,z+1/2'
'x+1/2,-y+1/2,-z'
'-x+1/2,y,-z'
loop_
_atom_site_label
_atom_site_type_symbol
_atom_site_fract_x
_atom_site_fract_y
_atom_site_fract_z
Ga1 Ga 0.000 0.250 0.120
Cu1 Cu 0.000 0.250 0.614
Se1 Se 0.242 0.500 0.750
S1 S 0.250 0.001 0.000
# Size of the total moment = 0.00 Bohr magnetons per cell
# E_form = -0.6410 eV/atom

=====

# Ti2Be17

A relaxed Ti2Be17 crystal (PBE-GGA, Materials Project).

a = 7.3364 Å, b = 7.3364 Å, c = 10.7330 Å
α = 90.00°, β = 90.00°, γ = 120.00°
Space group R-3m (No. 166, hexagonal axes)
Symmetry-distinct sites (fractional):
Ti 0.0000 0.0000 0.1638 x6
Be 0.0000 0.0000 0.4010 x6
Be 0.0000 0.2952 0.5000 x18
Be 0.0000 0.5000 0.0000 x9
Be 0.0044 0.5022 0.6558 x18

Results
- uncorrected energy (eV per cell) = -249.4
- calculated formation energy (eV/atom) = -0.199

=====

A relaxed Mo2PbSe2O11 crystal, computed with PBE with a Hubbard U.

Cell: 8.099 8.359 9.005 Å, 82.93 65.13 66.79°
Space group P-1 (No. 2)
Unique sites:
Mo: 0.221 0.468 0.045 x2
Mo: 0.228 0.876 0.805 x2
Pb: 0.072 0.725 0.473 x2
Se: 0.249 0.054 0.144 x2
Se: 0.261 0.274 0.687 x2